Contents:
********
! B2S3 (PBE, relaxed); values from VASP
&SYSTEM
  ibrav = 0, nat = 40, ntyp = 2
/
ATOMIC_SPECIES
B 10.81 B.upf
S 32.06 S.upf
ATOMIC_POSITIONS crystal
B 0.781 0.459 0.741
B 0.686 0.255 0.099
B 0.219 0.541 0.259
B 0.186 0.745 0.401
B 0.099 0.947 0.990
B 0.814 0.255 0.599
B 0.314 0.745 0.901
B 0.599 0.053 0.510
B 0.281 0.541 0.759
B 0.901 0.053 0.010
B 0.966 0.579 0.319
B 0.034 0.421 0.681
B 0.401 0.947 0.490
B 0.466 0.421 0.181
B 0.534 0.579 0.819
B 0.719 0.459 0.241
S 0.520 0.301 0.098
S 0.446 0.488 0.743
S 0.203 0.678 0.833
S 0.764 0.119 0.515
S 0.946 0.512 0.757
S 0.797 0.322 0.167
S 0.469 0.089 0.570
S 0.554 0.512 0.257
S 0.054 0.488 0.243
S 0.297 0.437 0.179
S 0.703 0.563 0.821
S 0.480 0.699 0.902
S 0.969 0.911 0.930
S 0.031 0.089 0.070
S 0.297 0.678 0.333
S 0.264 0.881 0.985
S 0.203 0.437 0.679
S 0.531 0.911 0.430
S 0.020 0.699 0.402
S 0.980 0.301 0.598
S 0.736 0.119 0.015
S 0.703 0.322 0.667
S 0.236 0.881 0.485
S 0.797 0.563 0.321
CELL_PARAMETERS angstrom
10.807 0.000 0.000
0.000 4.546 0.000
0.000 0.704 19.263
! Energy above the lowest structure with this stoichiometry in eV per atom: 0.007
! Energy relative to the elements in eV/atom: -0.729

* * * * *

(1)
VASP calculation (PBE+U) on crystalline Ba2MgCrMoO6 at its relaxed geometry.

Output
The calculation puts the energy above the most stable polymorph in this dataset at 53 meV/atom. Its crystal system is orthorhombic. The calculated formation energy comes out at -2.33 eV per atom. For the density, the calculation gives 5.7 Mg/m³.

Unit cell a=6.207 b=6.207 c=6.207 alpha=124.39 beta=123.35 gamma=83.42
Sites, in units of the cell vectors:
Ba 0.195 0.195 0.000
Ba 0.805 0.805 0.000
Mg 0.500 0.500 0.000
Cr 0.500 0.000 0.500
Mo 0.000 0.500 0.500
O 0.252 0.752 0.500
O 0.269 0.253 0.521
O 0.269 0.747 0.016
O 0.731 0.253 0.984
O 0.731 0.747 0.479
O 0.748 0.248 0.500

***

(2)
VASP calculation (PBE+U) on crystalline Ba2MgCrMoO6 at its relaxed geometry.

Output
The calculation puts the energy above the most stable polymorph in this dataset at 0 meV/atom. Its crystal system is monoclinic. The calculated formation energy comes out at -2.38 eV per atom. For the density, the calculation gives 5.0 Mg/m³.

Unit cell a=6.047 b=6.047 c=6.646 alpha=116.38 beta=116.38 gamma=60.04
Sites, in units of the cell vectors:
Ba 0.000 0.000 0.000
Ba 0.581 0.581 0.737
Mg 0.372 0.372 0.114
Cr 0.200 0.200 0.592
Mo 0.783 0.783 0.345
O 0.011 0.547 0.102
O 0.027 0.027 0.595
O 0.030 0.551 0.602
O 0.547 0.011 0.102
O 0.550 0.550 0.113
O 0.551 0.030 0.602

***

(3)
VASP calculation (PBE+U) on crystalline Ba2MgCrMoO6 at its relaxed geometry.

Output
The calculation puts the energy above the most stable polymorph in this dataset at 60 meV/atom. Its crystal system is monoclinic. The calculated formation energy comes out at -2.32 eV per atom. For the density, the calculation gives 5.0 Mg/m³.

Unit cell a=6.066 b=6.066 c=6.589 alpha=116.92 beta=116.92 gamma=60.08
Sites, in units of the cell vectors:
Ba 0.000 0.000 0.000
Ba 0.587 0.587 0.755
Mg 0.208 0.208 0.620
Cr 0.804 0.804 0.410
Mo 0.390 0.390 0.169
O 0.019 0.569 0.156
O 0.029 0.029 0.625
O 0.030 0.571 0.630
O 0.569 0.019 0.156
O 0.570 0.570 0.159
O 0.571 0.030 0.630

***

(4)
VASP calculation (PBE+U) on crystalline BaMg14CrO16 at its relaxed geometry.

Output
The calculation puts the energy above the most stable polymorph in this dataset at 3 meV/atom. Its crystal system is tetragonal. The calculated formation energy comes out at -2.77 eV per atom. For the density, the calculation gives 3.8 Mg/m³.

Unit cell a=8.723 b=8.723 c=4.564 alpha=90.00 beta=90.00 gamma=90.00
Sites, in units of the cell vectors:
Ba 0.000 0.000 0.000
Mg 0.000 0.264 0.500
Mg 0.000 0.500 0.000
Mg 0.000 0.736 0.500
Mg 0.254 0.500 0.500
Mg 0.258 0.258 0.000
Mg 0.258 0.742 0.000
Mg 0.264 0.000 0.500
Mg 0.500 0.000 0.000
Mg 0.500 0.254 0.500
Mg 0.500 0.746 0.500
Mg 0.736 0.000 0.500
Mg 0.742 0.258 0.000
Mg 0.742 0.742 0.000
Mg 0.746 0.500 0.500
Cr 0.500 0.500 0.000
O 0.000 0.000 0.500
********

Request:
Now restate only the lines earlier on with the word "BaMg14CrO16" in them.

Reply:
VASP calculation (PBE+U) on crystalline BaMg14CrO16 at its relaxed geometry.